2010 has been a momentous year for me. So much has happened both on the blog and in real life for which I am oh so thankful for. On the blog front, we’re picking up some news from new brands and seeing lots of new “faces” in the comments and I love that! More commentators = more ideas and more views and we all need variety in life 😀 Come by and say Hi more often yes? I love it when you visit 🙂
On the personal front, I spent the final quarter of 2010 being bitten by the travel bug where I took the opportunity to travel far and wide and to spend some quality time with my family away from the maddening crowd. (At least I kept one New Year’s Resolution!) I also burnt a giant hole in my wallet I’m still trying to patch LOL! I don’t know what next year will bring, but I know its gonna be good 😀
**Crystal structures from another source follow**
=====
[1]
Entry from Alexandria via LeMat-Bulk: a relaxed structure of Pb5S4I (PBE-GGA).

Values from the calculation:
ΔE_f (raw) in eV per formula unit: -4.49
ρ in g/cm³: 7.3
Final energy in eV per atom: -4.110
Space group: C2/m

a b c (Å): 4.1887 7.4519 10.0513
angles (deg): 80.44 77.97 73.68
Sites, in units of the cell vectors:
1 Pb 0.2095 0.9075 0.6735
2 Pb 0.7905 0.0925 0.3265
3 Pb 0.3830 0.3597 0.8743
4 Pb 0.0000 0.5000 0.5000
5 Pb 0.6170 0.6403 0.1257
6 S 0.5959 0.2052 0.6030
7 S 0.2011 0.3837 0.2141
8 S 0.7989 0.6163 0.7859
9 S 0.4041 0.7948 0.3970
10 I 0.0000 0.0000 0.0000

[2]
Entry from Alexandria via LeMat-Bulk: a relaxed structure of SbPb2S2I3 (PBE-GGA).

Values from the calculation:
ΔE_f (raw) in eV per formula unit: -3.85
ρ in g/cm³: 5.7
Final energy in eV per atom: -3.537
Space group: Cmc2_1
Energy above the most stable polymorph in this dataset in eV per formula unit: 0.077

a b c (Å): 8.0246 8.0246 17.0440
angles (deg): 90.00 90.00 148.61
Sites, in units of the cell vectors:
1 Sb 0.6302 0.3698 0.0106
2 Sb 0.3698 0.6302 0.5106
3 Pb 0.2813 0.7187 0.2267
4 Pb 0.7187 0.2813 0.7267
5 Pb 0.3488 0.6512 0.9714
6 Pb 0.6512 0.3488 0.4714
7 S 0.7461 0.2539 0.9126
8 S 0.2056 0.7944 0.0748
9 S 0.7944 0.2056 0.5748
10 S 0.2539 0.7461 0.4126
11 I 0.6363 0.3637 0.2576
12 I 0.3637 0.6363 0.7576
13 I 0.9085 0.0915 0.1260
14 I 0.0352 0.9648 0.9001
15 I 0.9648 0.0352 0.4001
16 I 0.0915 0.9085 0.6260

[3]
Entry from Alexandria via LeMat-Bulk: a relaxed structure of SbPb2S2I3 (PBE-GGA).

Values from the calculation:
ΔE_f (raw) in eV per formula unit: -3.93
ρ in g/cm³: 5.9
Final energy in eV per atom: -3.547
Space group: P2_1/c
Energy above the most stable polymorph in this dataset in eV per formula unit: 0.000

a b c (Å): 16.9424 7.7390 8.7721
angles (deg): 73.39 90.00 90.00
Sites, in units of the cell vectors:
1 Sb 0.9851 0.2994 0.6742
2 Sb 0.4851 0.7006 0.8258
3 Sb 0.5149 0.2994 0.1742
4 Sb 0.0149 0.7006 0.3258
5 Pb 0.4736 0.7556 0.3041
6 Pb 0.7259 0.6052 0.3322
7 Pb 0.5264 0.2444 0.6959
8 Pb 0.0264 0.7556 0.8041
9 Pb 0.2259 0.3948 0.1678
10 Pb 0.2741 0.3948 0.6678
11 Pb 0.9736 0.2444 0.1959
12 Pb 0.7741 0.6052 0.8322
13 S 0.4267 0.5453 0.6334
14 S 0.9139 0.4593 0.4100
15 S 0.9267 0.4547 0.8666
16 S 0.0861 0.5407 0.5900
17 S 0.4139 0.5407 0.0900
18 S 0.5733 0.4547 0.3666
19 S 0.5861 0.4593 0.9100
20 S 0.0733 0.5453 0.1334
21 I 0.8827 0.8601 0.0334
22 I 0.3828 0.1016 0.9657
23 I 0.1172 0.1016 0.4657
24 I 0.7396 0.3041 0.6661
25 I 0.1173 0.1399 0.9666
26 I 0.6172 0.8984 0.0343
27 I 0.2396 0.6959 0.8339
28 I 0.8828 0.8984 0.5343
29 I 0.6173 0.8601 0.5334
30 I 0.3827 0.1399 0.4666
31 I 0.7604 0.3041 0.1661
32 I 0.2604 0.6959 0.3339

[4]
Entry from Alexandria via LeMat-Bulk: a relaxed structure of SnPbS2I (PBE-GGA).

Values from the calculation:
ΔE_f (raw) in eV per formula unit: 3.16
ρ in g/cm³: 5.5
Final energy in eV per atom: -2.871
Space group: P4/mmm

a b c (Å): 5.1256 5.9585 5.1256
angles (deg): 90.00 90.00 90.00
Sites, in units of the cell vectors:
=====
**End of the crystal structures**
As a thank you to all of you who have come by to read and most importantly, interact with me and everyone else on MWS and help build our little community, I’m rounding up the year with YOUR favourites from each month (based on comment count) 🙂
Ready? Here we go!
MWS reader favourites from 2010
- January – Sleep with your bra on or off? The debate continues
- February – Hoarding product boxes – a sin we all confess to
- March – I complained about Asience drying out my hair and so many of you agreed – I’m glad I’m not alone!
- April – The Guerlain Meteorites Illuminating powder is my makeup must have and it seems many of you agree too or I’ve converted you into believing so! Teehee… 😈
- May – My mom shared her NH Collaplus Collagen drink story and it seems to have intrigued many
- June – Longchamp Le Pliage Totes – people feel so strongly for or against, you all confused me!
- July – BB Creams – people feel strongly about this too!
- August – Mix and matching skincare brands is the order of the day for most of us it would seem
- September – I told you to apply concealer after foundation to save time but apparently everyone does it already so I’m late to the party! 😳
- October – I discovered that Chinese magazines were more informative and more interesting than English magazines… even if I can’t understand them and quite a few of you agreed too
- November – You all shared the beauty products you just can’t get into and we discovered we have a lot in common
- December – There were 2 popular posts in December and they are a close call so here’s both – Beauty products you can’t get enough of and the “Ouch! You didn’t!” that is the Brazilian Wax experience!
Thank you for the interaction and helpful comments everyone! As you can see, we all have such diverse views on certain things yet we have mostly shown that we can carry out logical thought and be coherent and agree to disagree, without descending into name calling and catfights. Give yourselves a pat on the back for being matured adults! 😀
I’m glad I made it safely through this year, so come in 2011, lets see what you have in store for us all! 🙂
I hope you have all had a good end to 2010 and a lovely start to 2011. If you are going to celebrate the end of 2010 please stay safe!
Thank you for sharing my journey in 2010. I’ll be back in 2011, and I hope you’ll be there too 😉
Paris B
Happy New Year to you & all your readers too!
Cheers!!! ^_____^
Yeay for all who passed through 2010 safely. I’m excited about 2011 already!
Happy New Year and may all your wishes come true in 2011!!
I am doing my usual MWS rounds today and this post made me all warm and fuzzy inside 😀 Awww.. I had so much fun reading your posts and other people’s comments and I will continue to visit everyday next year! You better keep up with your daily updates! 😀 Happy new year to you and MWS readers!
Happy New Year everyone!
And thank you for sharing so much with us PB! 🙂
Have a great 2011 and may it be a even more fruitful year!
A great new year for you too! May 2011 bring more amazing makeup and miracle-working skincare… at reasonable prices! 😀 Well, one’s gotta have dreams!
Happy new year ParisB and everyone reading MWS! I love your reviews and keep up the good work 😉
I didn’t know how much I didn’t know about make ups and what-nots until I started reading you. But alas, I only wished I had the time to comb through your blog, LOL. Anyway, Happy New Year PB! I wish you a more productive 2011! 😀
happy new year paris!!keep on blogging dear…
Happy New Year to everyone and PB!! I love reading your reviews and although your posts had been very regular but I just cant get enough! keep on it in the coming year PB!!! 🙂
Happy new year everyone! It has been a great year of great articles from mws. I’m now a almost daily reader and hope to be still in 2011. Cheers to the new year and may 2011 brings great health,gratitude and happiness, lots of monetary returns, wonderful relationships with our love ones and all around us, and all things good to everyone of us.
Thank you for the blog posts that gives me the energy every morning at work! Cheers for the best new year ever! 😀 Hope to meet #evurl someday!:)
Have a wonderful and blessed 2011! Thanks for all your sharing this year, I’ve really enjoyed the good reads and lovely pictures 🙂
2010 is coming to an end so fast. Love your blog soooo much!! Keep blogging 🙂
Happy New Year~~~
p/s: CNY is around the corner. That should help patch up your wallet. Hahahaha.
What a year it has been! Looking forward to more awesome posts from you in 2011 😉
Happy new year, and hope to see you soon!
Hi Paris
Happy New Year. Keep up the great reviews and good writeups. Really enjoy reading your blog.
Happy new year! Really enjoy to read your blog. Keep up blogging! Wishes all the best for coming year and got chance to meet you in person.
HAPPY NEW YEAR!!!!!!!!!!!!!!!!!!!!!!!!!!!!!!!!!!!!!!!!!!!!!!!!!!!!!!!!!!!!!!!!!!!!!!!!!!!!!!!!!!!!!!!!!!!!!!!!!!!!!!!!!!!!!!!!!!!!!!!!!!!
Thanks for a great blog year! I’ve enjoyed reading your reviews (many new lemmings created) and participating in the comments.
All the very best for 2011!